It is extremely rare for anyone to exceed their own expectations, so if you can only see yourself achieving mediocre results, that is exactly what you will experience in your life. If you want to break free and create a life of meaning and satisfaction. You must first commit to create a vivid picture of exactly what you want in your mind’s eye and then believe that it is possible for you to achieve just that.
Michael Angelo coined the phrase "People stop themselves from achieving their full potential not because they aim too high and miss, but because they aim too low and hit" Now is the time to accept that you can achieve almost anything, if it feels natural and possible for you and you are prepared to take action to make it happen..
Action idea: Find yourself some quiet time, sit, relax and breathe deeply, search within and ask yourself these few simple questions.
•What is my maximum?
•Why do I feel that is all I can achieve?
•What can I do to raise the ceiling on what I believe to be my maximum?
•Is my commitment to ongoing learning
, expansion and growth adequate?
Examine all the answers you come up with and try to discover the action you need to take to start moving toward achieving your full potential.
It is crucial that you realize that no one’s opinion about what you can achieve matters. All the opinions of other people offer you, is feedback and information. The only opinion that matters at all is yours. There are many documented stories where scientists who measured, experimented and came up with empirical evidence, to support their claims, that mankind had reached their limit in a specific area. Only to be proved wrong soon afterwards, by people who did not listen to them or believe what the evidence showed.
One of the most well-known cases is that of Roger Banister. The scientists of the day believed that it was impossible for a man to run under 4 minutes for the mile. Their experiments showed that mankind did not have the physical ability to sustain the effort required. Roger Banister did not believe them and despite what other people thought and said, he saw himself breaking that barrier.
The miracle was not found only in the fact that Roger Banister actually ran below four minutes for the mile, but that soon after he proved it was possible, a number of other people also achieved the impossible and ran below four minutes for the mile too. Athletes now routinely run under four minutes for the mile at training sessions.
I know that you are capable of achieving far more than you believe possible for yourself, the secret for you to unlock all these possibilities available to you and turn this into your future reality. Is for you to stop listening to what people and your environment are telling you is possible and for you to begin believing in yourself.
You can increase the number of opportunities available to you, if you stop only believing in possibility, when you can see evidence, which proves it is possible for you to achieve it. The saying "When I see it I will believe it" is not true. The wiser way to think about this is to see things differently and rather say to yourself. "When I believe it, I will see it". After you make this shift, you will soon realise that everything is possible for you. If it feels natural for you and you believe it is realistic for you to achieve it.
Someone pasted data records at this point
'''
No. 1
Ce2Fe3Rh: single point on PBEsol structure, meta-GGA SCAN.

abc: 4.9123 4.9123 13.1954
angles: 90.00 90.00 120.00
Space group R-3m (No. 166, hexagonal axes)
Symmetry-distinct sites (fractional):
Ce 0.0000 0.0000 0.1231 (multiplicity 6)
Fe 0.0000 0.5000 0.0000 (multiplicity 9)
Rh 0.0000 0.0000 0.5000 (multiplicity 3)

Output
Formation energy ... -219 meV per atom
Volume ... 15.32 Å³ per atom
Electronic total energy ... -29.7667 eV/atom
DOS at the Fermi energy ... 1.3084 states/eV/atom

No. 2
Re2RhSe: single point on PBEsol structure, meta-GGA SCAN.

abc: 4.4352 4.4352 2.9129
angles: 90.00 90.00 90.00
Space group P4/mmm (No. 123)
Symmetry-distinct sites (fractional):
Re 0.0000 0.5000 0.0000 (multiplicity 2)
Rh 0.0000 0.0000 0.5000 (multiplicity 1)
Se 0.5000 0.5000 0.5000 (multiplicity 1)

Output
Volume ... 14.32 Å³ per atom
Electronic total energy ... -48.4470 eV/atom
Formation energy from raw total energies ... 564 meV/atom
DOS at the Fermi energy ... 0.6132 states/eV/atom

No. 3
MnAgHg2: single point on PBEsol structure, meta-GGA SCAN.

abc: 3.3039 3.4294 6.4387
angles: 90.00 90.00 90.00
Space group Pmm2 (No. 25)
Symmetry-distinct sites (fractional):
Mn 0.0000 0.0000 0.0000 (multiplicity 1)
Ag 0.5000 0.5000 0.2189 (multiplicity 1)
Hg 0.0000 0.0000 0.4713 (multiplicity 1)
Hg 0.5000 0.5000 0.7667 (multiplicity 1)

Output
Formation energy ... 29 meV per atom
Volume ... 18.24 Å³ per atom
Electronic total energy ... -46.4595 eV/atom
DOS at the Fermi energy ... 0.2812 states/eV/atom

No. 4
CsSr3Pd: single point on PBEsol structure, meta-GGA SCAN.

abc: 4.4926 6.0160 9.2746
angles: 90.00 90.00 90.00
Space group Pmmm (No. 47)
Symmetry-distinct sites (fractional):
Cs 0.0000 0.0000 0.0000 (multiplicity 1)
Sr 0.0000 0.0000 0.5000 (multiplicity 1)
Sr 0.5000 0.5000 0.2880 (multiplicity 2)
Pd 0.0000 0.5000 0.5000 (multiplicity 1)

Output
Formation energy ... -252 meV per atom
Volume ... 50.13 Å³ per atom
Electronic total energy ... -27.7346 eV/atom
DOS at the Fermi energy ... 0.6558 states/eV/atom

No. 5
YMo2Pt: single point on PBEsol structure, meta-GGA SCAN.

abc: 10.2043 3.1593 4.6962
angles: 90.00 105.51 90.00
Space group C2/m (No. 12)
Symmetry-distinct sites (fractional):
Y 0.0000 0.0000 0.0000 (multiplicity 2)
Mo 0.2316 0.0000 0.6892 (multiplicity 4)
Pt 0.0000 0.5000 0.5000 (multiplicity 2)

Output
Formation energy ... -43 meV per atom
Polymorph energy (0 for the lowest one) ... 41 meV/atom
Volume ... 18.24 Å³ per atom
Electronic total energy ... -41.9944 eV/atom
DOS at the Fermi energy ... 1.0260 states/eV/atom

No. 6
CaLaPb2: single point on PBEsol structure, meta-GGA SCAN.

abc: 3.6624 3.6624 31.4271
angles: 90.00 90.00 120.00
Space group R-3m (No. 166, hexagonal axes)
Symmetry-distinct sites (fractional):
Ca 0.0000 0.0000 0.0000 (multiplicity 3)
La 0.0000 0.0000 0.5000 (multiplicity 3)
Pb 0.0000 0.0000 0.2528 (multiplicity 6)

Output
Formation energy ... -536 meV per atom
Volume ... 30.42 Å³ per atom
'''
So much for the data records
The process is simple:
•First conceive the idea
•Explore the idea and see if it feels natural for you to achieve it
== These calculated crystals were left in the entry by mistake ==
____________
a | This record from Alexandria describes a geometry-optimized PmHo3Er structure. The functional is PBE.

Calculated values
total magnetic moment = 0.002 μB per formula unit
ρ = 7.75 g cm⁻³

```
data_PmHo3Er
_chemical_formula_sum 'Pm2 Ho6 Er2'
_cell_length_a 3.619
_cell_length_b 11.542
_cell_length_c 8.471
_cell_angle_alpha 90.00
_cell_angle_beta 102.30
_cell_angle_gamma 90.00
_symmetry_space_group_name_H-M 'P 1 21/m 1'
_symmetry_Int_Tables_number 11
loop_
_symmetry_equiv_pos_as_xyz
'x,y,z'
'-x,-y,-z'
'-x,y+1/2,-z'
'x,-y+1/2,z'
loop_
_atom_site_label
_atom_site_fract_x
_atom_site_fract_y
_atom_site_fract_z
Pm1 0.191 0.250 0.383
Ho1 0.146 0.750 0.291
Ho2 0.347 0.002 0.694
Er1 0.483 0.750 0.963
```

***

b | This record from Alexandria describes a geometry-optimized PmHo3Er structure. The functional is PBE.

Calculated values
total magnetic moment = 0.000 μB per formula unit
ρ = 8.38 g cm⁻³

```
data_PmHo3Er
_chemical_formula_sum 'Pm2 Ho6 Er2'
_cell_length_a 6.273
_cell_length_b 5.633
_cell_length_c 9.575
_cell_angle_alpha 90.00
_cell_angle_beta 109.08
_cell_angle_gamma 90.00
_symmetry_space_group_name_H-M 'P 1 21/m 1'
_symmetry_Int_Tables_number 11
loop_
_symmetry_equiv_pos_as_xyz
'x,y,z'
'-x,-y,-z'
'-x,y+1/2,-z'
'x,-y+1/2,z'
loop_
_atom_site_label
_atom_site_fract_x
_atom_site_fract_y
_atom_site_fract_z
Pm1 0.068 0.250 0.300
Ho1 0.134 0.750 0.098
Ho2 0.268 0.250 0.702
Ho3 0.336 0.750 0.501
Er1 0.466 0.250 0.099
```

***

Of them, a has the lowest stability.

***

a | This record from Alexandria describes a geometry-optimized PmHo2Er6 structure. The functional is PBE.

Calculated values
total magnetic moment = 0.000 μB per formula unit
ρ = 8.80 g cm⁻³

```
data_PmHo2Er6
_chemical_formula_sum 'Pm2 Ho4 Er12'
_cell_length_a 10.571
_cell_length_b 10.571
_cell_length_c 4.991
_cell_angle_alpha 90.00
_cell_angle_beta 90.00
_cell_angle_gamma 90.00
_symmetry_space_group_name_H-M 'P 42/m n m'
_symmetry_Int_Tables_number 136
_symmetry_space_group_name_Hall '-P 4n 2n'
loop_
_atom_site_label
_atom_site_fract_x
_atom_site_fract_y
_atom_site_fract_z
Pm1 0.000 0.000 0.000
Ho1 0.168 0.168 0.500
Er1 0.000 0.334 0.000
Er2 0.168 0.832 0.500
```

***

b | This record from Alexandria describes a geometry-optimized PmHo2Er6 structure. The functional is PBE.

Calculated values
total magnetic moment = 0.000 μB per formula unit
ρ = 8.66 g cm⁻³

```
data_PmHo2Er6
_chemical_formula_sum 'Pm2 Ho4 Er12'
_cell_length_a 11.594
_cell_length_b 3.489
_cell_length_c 14.394
_cell_angle_alpha 90.00
_cell_angle_beta 103.19
_cell_angle_gamma 90.00
_symmetry_space_group_name_H-M 'C 1 2/m 1'
_symmetry_Int_Tables_number 12
loop_
_symmetry_equiv_pos_as_xyz
'x,y,z'
'-x,-y,-z'
'-x,y,-z'
'x,-y,z'
'x+1/2,y+1/2,z'
'-x+1/2,-y+1/2,-z'
'-x+1/2,y+1/2,-z'
'x+1/2,-y+1/2,z'
loop_
_atom_site_label
_atom_site_fract_x
_atom_site_fract_y
_atom_site_fract_z
Pm1 0.000 0.000 0.000
Ho1 0.107 0.500 0.224
Er1 0.122 0.000 0.445
Er2 0.138 0.500 0.655
Er3 0.199 0.500 0.895
```

***
____________
== End of the calculated crystals ==
•Believe it is possible for you.
•Grow your knowledge and skill to align with your idea
•Take inspired action daily and anything becomes possible for you
### Next to the piece, the page also holds materials data
********
Density functional theory data (meta-GGA SCAN) for a PBEsol-optimized structure of LiMn2P.

Geometry as extended XYZ:
```
4
Lattice="-1.1296 -2.9900 1.0033 2.0225 0.2414 2.9964 -2.7467 1.6160 1.7237" Properties=species:S:1:pos:R:3 pbc="T T T"
Li -0.5648 -1.4950 0.5017
Mn -1.3733 0.8080 0.8619
Mn 1.0112 0.1207 1.4982
P -0.9269 -0.5663 2.8617
```

The value obtained for the total energy is -50.6 eV/cell. The formation enthalpy at 0 K is -0.3190 eV per atom. Its space-group type is P4/mmm.

* * * * *

Computed, not measured: an optimized crystal structure of Ce2ThTaN4 at the GGA-PBE level of DFT.

Cell: 5.9945 3.4066 6.0566 Å, 90.00 108.33 90.00°
Last column: nearest neighbours and their distance in Å.
Space group P2/m (No. 10)
One atom of each set of equivalent atoms:
Ce: 0.0000 0.0000 0.0000 [1 per cell]  6 N 2.44
Ce: 0.0000 0.5000 0.5000 [1 per cell]  6 N 2.65-2.71
Th: 0.5000 0.0000 0.5000 [1 per cell]  6 N 2.47-2.49
Ta: 0.5000 0.5000 0.0000 [1 per cell]  6 N 2.18-2.27
N: 0.2731 0.5000 0.2187 [2 per cell]  1 Ta 2.18
N: 0.2866 0.0000 0.7896 [2 per cell]  2 Ta 2.27, 1 Ce 2.44, 1 Th 2.47

Summary:
total DFT energy (no corrections)	-75.688	eV/cell
uncorrected formation energy	-11.25	eV per formula unit
theoretical density	10.6	g/cm3

* * * * *

A plane-wave DFT calculation with PBE was carried out for a geometry-optimized Ac8Pr2Nd3 structure.

abc: 7.288 9.388 9.388
angles: 63.51 97.71 97.71
Positions (direct):
Nd (0.500, 0.000, 0.000)
Nd (0.000, 0.839, 0.161)
Nd (0.000, 0.161, 0.839)
Ac (0.123, 0.410, 0.410)
Ac (0.813, 0.196, 0.196)
Ac (0.424, 0.803, 0.432)
Ac (0.877, 0.590, 0.590)
Ac (0.187, 0.804, 0.804)
Ac (0.576, 0.568, 0.197)
Ac (0.576, 0.197, 0.568)
Ac (0.424, 0.432, 0.803)
Pr (0.294, 0.195, 0.195)
Pr (0.706, 0.805, 0.805)

Calculated values
Calculated formation energy: 0.215 eV per atom
DOS at the Fermi energy: 1.5250 states/eV per atom
M_tot: 0.0 μB/cell
Energy relative to the lowest polymorph listed for this composition: 0.013 eV per atom
Uncorrected energy: -4.15 eV per atom
********
Now all that is left for you to do is to decide what you want and then to follow the simple process described above and you can bring fulfillment and meaning into your experience. To get started answer these few questions listed below:
•What do you believe you are capable of achieving?
•What do you want to have, do and be?•What is the maximum amount of skill, knowledge or ability you see yourself obtaining?
•How many meaningful business connections do you see yourself making?
What are you waiting for; begin making the positive changes you need in your life.
Andrew is an expert and master teacher that speaks and teaches self-leadership, expanded awareness, effectiveness, efficiency and productivity. He guides individuals and business professionals, to identify, prioritise and carry out the right activities, consistently, so that they can maximise their personal effectiveness and deliver their best; on time, every time. All the tools and techniques Andrew teaches; have been tested in the laboratory of his own life and the many successful businesses he has owned and led, over the past 20 years. These strategies have seen Andrew achieve financial independence and reach a point of harmonious balance in all areas of his life. His purpose is to help as many people as possible, achieve similar or better results and to show them how they can realise their full potential, both personal and professionally and to help them live a meaningful life, where they are fulfilled in all areas.